_Wanted_
Set down only the lines further down with the word "K2S2O5" in them.
_Entries_
=====
Entry 1:
This entry pairs a crystal structure of Nd2Ni2Sn3 with its simulated powder diffractogram. Radiation: copper Kα. Structure: a DFT-relaxed cell (PBE, Alexandria).
Intensities are scaled so that the largest is 100.

Main lines, by intensity (2θ = 5–70°):
2θ/deg	I/Imax
32.1	100.0
32.7	66.5
39.9	42.8
45.8	25.1
30.1	24.8
41.9	23.1
50.7	21.2
69.0	17.8
30.2	17.3
59.2	16.5

Cell and atoms:
Unit cell a=4.5240 b=19.5444 c=7.2017 alpha=90.00 beta=90.00 gamma=90.00
Space group Cmcm (No. 63)
Inequivalent atoms, fractional coordinates:
Nd 0.0000 0.0412 0.2500 [4 per cell]
Nd 0.0000 0.1646 0.7500 [4 per cell]
Ni 0.0000 0.2956 0.5546 [8 per cell]
Sn 0.0000 0.2163 0.2500 [4 per cell]
Sn 0.0000 0.4263 0.0476 [8 per cell]

Entry 2:
This entry pairs a crystal structure of Pu2MgCl6 with its simulated powder diffractogram. Radiation: copper Kα. Structure: a DFT-relaxed cell (PBE, Alexandria).
Intensities are scaled so that the largest is 100.

Main lines, by intensity (2θ = 5–70°):
2θ/deg	I/Imax
19.3	100.0
38.1	78.8
25.9	65.7
15.5	51.2
47.6	29.9
31.6	25.7
39.2	25.2
44.0	18.1
29.4	17.5
49.2	16.2

Cell and atoms:
Unit cell a=6.5031 b=6.5031 c=12.1494 alpha=90.00 beta=90.00 gamma=90.00
Space group P4_2/mnm (No. 136)
Inequivalent atoms, fractional coordinates:
Pu 0.0000 0.0000 0.1585 [4 per cell]
Mg 0.0000 0.0000 0.5000 [2 per cell]
Cl 0.1892 0.1892 0.3469 [8 per cell]
Cl 0.2242 0.2242 0.0000 [4 per cell]

=====

The following is a theoretical powder diffractogram of KTm2RuO8. It was derived from a crystal structure in Alexandria, relaxed with GGA-PBE, using copper Kα.
Lines closer than 0.1° are merged.

Atomic structure:
```
data_KTm2RuO8
_chemical_formula_sum 'K1 Tm2 Ru1 O8'
_cell_length_a 4.046
_cell_length_b 5.284
_cell_length_c 7.068
_cell_angle_alpha 89.60
_cell_angle_beta 75.23
_cell_angle_gamma 89.07
_symmetry_space_group_name_H-M 'P -1'
_symmetry_Int_Tables_number 2
_symmetry_space_group_name_Hall '-P 1'
loop_
_atom_site_label
_atom_site_type_symbol
_atom_site_fract_x
_atom_site_fract_y
_atom_site_fract_z
K1 K 0.000 0.000 0.000
Tm1 Tm 0.384 0.522 0.288
Ru1 Ru 0.000 0.000 0.500
O1 O 0.182 0.494 0.004
O2 O 0.186 0.327 0.583
O3 O 0.212 0.789 0.642
O4 O 0.358 0.947 0.268
```

Most intense lines, 2θ = 5–70°, most intense first:
- 33.9 deg, intensity 100
- 31.2 deg, intensity 93
- 30.0 deg, intensity 81
- 13.0 deg, intensity 76
- 28.2 deg, intensity 72
- 16.8 deg, intensity 59
- 45.6 deg, intensity 52
- 28.6 deg, intensity 43

***

The following is a theoretical powder diffractogram of K2S2O5. It was derived from a crystal structure in Alexandria, relaxed with GGA-PBE, using copper Kα.
Lines closer than 0.1° are merged.

Atomic structure:
```
data_K2S2O5
_chemical_formula_sum 'K4 S4 O10'
_cell_length_a 6.950
_cell_length_b 7.582
_cell_length_c 7.261
_cell_angle_alpha 90.00
_cell_angle_beta 111.27
_cell_angle_gamma 90.00
_symmetry_space_group_name_H-M 'P 1 21/m 1'
_symmetry_Int_Tables_number 11
_symmetry_space_group_name_Hall '-P 2yb'
loop_
_atom_site_label
_atom_site_type_symbol
_atom_site_fract_x
_atom_site_fract_y
_atom_site_fract_z
K1 K 0.178 0.250 0.049
K2 K 0.209 0.750 0.504
S1 S 0.332 0.250 0.644
S2 S 0.354 0.750 0.089
O1 O 0.220 0.089 0.667
O2 O 0.251 0.589 0.131
O3 O 0.380 0.250 0.461
```

Most intense lines, 2θ = 5–70°, most intense first:
- 23.5 deg, intensity 100
- 27.5 deg, intensity 96
- 24.9 deg, intensity 90
- 17.6 deg, intensity 73
- 36.8 deg, intensity 64
- 44.4 deg, intensity 42
- 35.6 deg, intensity 36
- 28.4 deg, intensity 33

***

The following is a theoretical powder diffractogram of K3S2O8. It was derived from a crystal structure in Alexandria, relaxed with GGA-PBE, using copper Kα.
Lines closer than 0.1° are merged.

Atomic structure:
```
data_K3S2O8
_chemical_formula_sum 'K12 S8 O32'
_cell_length_a 14.884
_cell_length_b 5.862
_cell_length_c 9.849
_cell_angle_alpha 90.00
_cell_angle_beta 104.44
_cell_angle_gamma 90.00
_symmetry_space_group_name_H-M 'C 1 2/c 1'
_symmetry_Int_Tables_number 15
=====
_Completed_
The following is a theoretical powder diffractogram of K2S2O5. It was derived from a crystal structure in Alexandria, relaxed with GGA-PBE, using copper Kα.